Neighbourhood studies

Neighbourhood studies are completed with local residents and partners to identify areas of improvement for an area. Each study creates a locally driven document that outlines a long-term plan to guide future decision making and investment in the area.

**Crystal structures from another source follow**
'''
Entry 1:
Structure and simulated XRD peak list of BaMg6V (a cell relaxed with PBE; a wavelength of 1.5418 Å).

Structural model:
a = 5.2832 Å, b = 6.7725 Å, c = 11.6880 Å
α = 90.00°, β = 90.00°, γ = 90.00°
Space group Amm2 (No. 38)
Unique sites:
Ba: 0.0000 0.0000 0.0000 (multiplicity 2)
Mg: 0.0000 0.2457 0.7475 (multiplicity 4)
Mg: 0.5000 0.0000 0.3417 (multiplicity 2)
Mg: 0.5000 0.0000 0.8196 (multiplicity 2)
Mg: 0.5000 0.2211 0.5847 (multiplicity 4)
V: 0.0000 0.0000 0.5040 (multiplicity 2)

Most intense lines, 2θ = 15–90°, sorted by position:
| 2θ/deg | I_rel | index |
| --- | --- | --- |
| 15.1 | 38 | 0 0 2 |
| 16.8 | 20 | 1 0 0 |
| 22.7 | 40 | 1 0 2 |
| 30.5 | 34 | 0 0 4 |
| 33.9 | 24 | 2 0 0 |
| 35.0 | 100 | 1 2 2 |
| 46.3 | 21 | 2 0 4 |
| 61.4 | 18 | 3 2 2 |


Entry 2:
Structure and simulated XRD peak list of BaMg14V (a cell relaxed with PBE; a wavelength of 1.5418 Å).

Structural model:
a = 10.5916 Å, b = 6.4794 Å, c = 11.4447 Å
α = 90.00°, β = 90.00°, γ = 90.00°
Space group Amm2 (No. 38)
Unique sites:
Ba: 0.0000 0.0000 0.0000 (multiplicity 2)
Mg: 0.0000 0.2439 0.2490 (multiplicity 4)
Mg: 0.2351 0.0000 0.6493 (multiplicity 4)
Mg: 0.2610 0.2405 0.4029 (multiplicity 8)
Mg: 0.2713 0.0000 0.1602 (multiplicity 4)
Mg: 0.5000 0.0000 0.4928 (multiplicity 2)
Mg: 0.5000 0.0000 0.9885 (multiplicity 2)
Mg: 0.5000 0.2435 0.7403 (multiplicity 4)
V: 0.0000 0.0000 0.4811 (multiplicity 2)

Most intense lines, 2θ = 15–90°, sorted by position:
| 2θ/deg | I_rel | index |
| --- | --- | --- |
| 17.6 | 23 | 1 0 2 |
| 31.7 | 33 | 0 2 2 |
| 33.9 | 40 | 4 0 0 |
| 35.7 | 58 | 2 0 4 |
| 36.1 | 100 | 2 2 2 |
| 47.1 | 21 | 4 2 2 |
| 62.0 | 19 | 6 2 2 |
| 67.0 | 20 | 4 2 6 |


Entry 3:
Structure and simulated XRD peak list of BaYMg14 (a cell relaxed with PBE; a wavelength of 1.5418 Å).

Structural model:
a = 6.7529 Å, b = 6.7529 Å, c = 10.5096 Å
α = 90.00°, β = 90.00°, γ = 120.00°
Space group P-6m2 (No. 187)
Unique sites:
Ba: 0.0000 0.0000 0.0000 (multiplicity 1)
Y: 0.0000 0.0000 0.5000 (multiplicity 1)
Mg: 0.0054 0.5027 0.5000 (multiplicity 3)
Mg: 0.0118 0.5059 0.0000 (multiplicity 3)
Mg: 0.1751 0.3502 0.2577 (multiplicity 6)
Mg: 0.6667 0.3333 0.2478 (multiplicity 2)

Most intense lines, 2θ = 15–90°, sorted by position:
| 2θ/deg | I_rel | index |
| --- | --- | --- |
| 15.1 | 39 | 1 0 0 |
| 22.8 | 38 | 1 0 2 |
| 30.6 | 30 | 2 0 0 |
| 34.1 | 23 | 0 0 4 |
| 35.1 | 100 | 2 0 2 |
| 46.5 | 18 | 2 0 4 |
| 61.7 | 18 | 2 0 6 |
| 65.7 | 19 | 2 2 4 |


Entry 4:
Structure and simulated XRD peak list of BaYMg14 (a cell relaxed with PBE; a wavelength of 1.5418 Å).

Structural model:
a = 10.6540 Å, b = 6.6785 Å, c = 11.5766 Å
α = 90.00°, β = 90.00°, γ = 90.00°
Space group Amm2 (No. 38)
Unique sites:
Ba: 0.0000 0.0000 0.0000 (multiplicity 2)
Y: 0.0000 0.0000 0.4938 (multiplicity 2)
Mg: 0.0000 0.2498 0.2510 (multiplicity 4)
Mg: 0.2509 0.0000 0.6680 (multiplicity 4)
Mg: 0.2622 0.0000 0.1742 (multiplicity 4)
Mg: 0.2658 0.2420 0.4137 (multiplicity 8)
'''

Each study focuses on:

•   people (socio-economic)

•   place (physical attributes)

•   opportunities

A neighbourhood study presents opportunities to gain insight into local issues and views of the local community needs at the start of the planning and development process.

Structure of the neighbourhood studies

Each neighbourhood study takes a different approach to reflect the unique character of the area, but they all use this common structure:

1) Baseline report - setting out an overview of existing data for the neighbourhood, including the historical context, this report is the first stage of community consultation and local stakeholder engagement and identifies opportunities and challenges for each locality.

2) Interim report - providing a comprehensive account of data from the resident and stakeholder engagement programme and identifying emerging priorities, at this stage a framework of initial ‘place’ and ‘people’ options are considered, with everyone invited to give feedback.

3) Final report - summarising all activities undertaken through the themes of ‘place’ and ‘people’, identifying the priorities and vision for the locality; this report provides a delivery plan, setting out a detailed appraisal of the prioritised options, including who will action these, the resources required and a timeframe to work towards.


Governance is a crucial element of a neighbourhood study. Each study area forms a neighbourhood partnership, bringing together local stakeholders (statutory and voluntary) and residents. The neighbourhood partnership acts as an advisory group and sounding board for the duration of the project, agreeing terms of reference at the start and monitoring progress.

Community involvement

Although the Council is leading the process, the neighbourhood studies are very much community documents. There is a responsibility for all stakeholders (including the residents themselves) to recognise their role in meeting the required options and actions in order to deliver better outcomes for local residents.

The studies should also be used to shape each stakeholder’s strategic decision making, priorities and investment for the neighbourhood study area.

Completed studies

Hawtonville neighbourhood study

The Hawtonville Neighbourhood Report (PDF File, 647kb) was completed in March 2016. The study engaged with over 300 residents, generating over 1,000 suggestions for investment in the area.

A number of possible projects were developed to be delivered under a new vision for the neighbourhood: Hawtonville – a proud and prosperous community.

Bridge Ward neighbourhood study

Completed in March 2012, the Bridge Ward Neighbourhood Report (PDF File, 1,551kb) sets out a number of key challenges for the ward and proposals to address them. The main focus on the study was the relationship between Yorke Drive and the Ward and how to regenerate this area. This has developed into the Yorke Drive regeneration project.